Retype only the last part of the rows further down, starting with the line that has "-5.308", please.
=====
Record 1
C23H38N7NbSSi2 | the ωB97M-V functional and the def2-TZVPD basis

Summary:
Lowest unoccupied orbital energy (spin up / spin down): -7.85 / -7.85 eV

```
! RIJCOSX wB97M-V def2-TZVPD def2/J DEFGRID3
* xyz 2 1
Nb 10.347 -13.429 -5.731
S 8.164 -13.026 -4.251
Si 9.529 -11.006 -6.469
Si 12.200 -11.563 -7.232
N 8.066 -11.708 -1.901
N 10.127 -12.103 -2.830
N 8.439 -14.506 -6.907
N 10.004 -15.679 -4.946
N 12.856 -14.120 -5.293
N 10.777 -12.756 -3.856
N 10.998 -14.879 -7.420
C 11.034 -16.377 -7.091
C 11.447 -10.293 -8.394
C 13.097 -13.330 -4.133
C 8.571 -16.123 -5.062
C 10.254 -9.892 -7.885
C 12.094 -12.541 -3.630
C 10.176 -8.038 -9.367
C 11.343 -8.519 -9.913
C 7.741 -10.787 -6.790
C 13.965 -14.838 -5.640
C 14.215 -13.477 -3.283
C 13.129 -12.755 -8.370
C 15.165 -14.842 -4.973
C 13.452 -10.351 -6.235
C 8.712 -14.593 -8.405
C 15.267 -14.275 -3.704
C 9.621 -8.715 -8.297
C 8.030 -15.858 -6.430
C 10.898 -16.623 -5.627
C 9.798 -9.882 -4.932
C 11.976 -9.675 -9.541
C 8.841 -12.306 -2.826
C 10.170 -14.405 -8.630
H 12.954 -10.007 -9.886
H 8.023 -13.912 -8.885
H 11.865 -7.856 -10.637
H 8.390 -15.586 -8.703
H 10.276 -16.968 -7.682
H 8.430 -16.576 -7.133
H 13.682 -9.586 -7.001
H 8.766 -8.295 -7.720
H 7.420 -10.796 -7.873
H 9.743 -7.051 -9.695
H 10.452 -15.002 -9.522
H 13.152 -9.868 -5.308
H 7.982 -15.540 -4.386
H 13.685 -12.064 -9.010
H 10.850 -9.999 -4.562
H 9.048 -10.035 -4.160
H 13.840 -13.383 -7.789
H 14.258 -12.902 -2.360
H 12.022 -16.807 -7.387
H 9.749 -8.858 -5.394
H 8.596 -11.324 -1.112
H 7.173 -11.518 -6.267
H 7.086 -11.928 -1.823
H 10.269 -15.702 -3.941
H 12.274 -11.790 -2.868
H 7.454 -9.786 -6.394
H 15.995 -15.399 -5.404
H 7.723 -13.791 -6.720
H 6.898 -15.936 -6.446
H 8.564 -17.169 -4.791
H 11.883 -16.496 -5.139
H 13.868 -15.425 -6.579
H 10.654 -17.706 -5.516
H 10.485 -13.364 -8.867
H 16.220 -14.307 -3.162
H 14.341 -11.032 -6.120
H 12.435 -13.311 -8.989
H 11.946 -14.525 -7.625
*
```

---

Record 2
C23H38O | the ωB97M-V functional and the def2-TZVPD basis

Summary:
Lowest unoccupied orbital energy: 0.74 eV
SMILES: CC(=O)CC/C=C(/C)CC/C=C(/C)CC/C=C(\C)CCC=C(C)C
Energy relative to the best compared isomer or geometry (same formula, charge and spin): 4.7 kcal/mol

```
! RIJCOSX wB97M-V def2-TZVPD def2/J DEFGRID3
* xyz 0 1
O -6.516 -1.862 1.216
C -2.853 2.456 -1.347
C -5.169 -2.458 -0.660
C -4.641 0.613 0.412
C -5.481 -1.717 0.615
C 7.224 -1.474 -0.932
C -4.405 -0.758 1.070
C -1.920 3.374 0.813
C 3.277 -1.769 0.992
C 2.209 0.415 0.366
C 3.086 -0.287 1.077
C -3.628 1.605 0.888
C -1.200 -0.643 -1.031
C 4.006 0.416 2.043
C 1.228 -0.092 -0.643
C -1.398 -2.129 -1.100
C 6.285 -0.387 -0.500
C -1.676 1.666 -1.951
C -0.179 -0.191 -0.023
C 5.553 0.303 -1.619
C -2.860 2.403 0.156
C 5.240 1.001 1.328
C -1.849 0.182 -1.845
C 6.133 -0.067 0.780
H 2.152 1.484 0.540
H -0.458 0.778 0.391
H -0.140 -0.904 0.802
H -0.454 -2.615 -1.348
H 5.807 1.592 2.053
H 7.751 -1.904 -0.083
H -1.832 3.180 1.878
H -1.606 1.922 -3.012
H -0.929 3.321 0.364
H -3.417 -1.120 0.788
H 4.330 -1.995 0.830
H 3.473 1.235 2.531
H 2.978 -2.230 1.934
H -4.462 -0.646 2.154
H -6.071 -2.904 -1.073
H -1.720 -2.524 -0.136
H 6.674 -2.267 -1.439
H 1.522 -1.070 -1.025
H -4.459 -3.251 -0.432
H 5.976 1.291 -1.798
H -2.756 3.501 -1.655
H -4.709 -1.792 -1.385
H 7.958 -1.079 -1.634
H -5.642 0.961 0.689
H -2.574 -0.232 -2.537
H -3.549 1.662 1.967
H 4.905 1.669 0.535
H -4.605 0.504 -0.671
H -2.286 4.392 0.678
H -2.131 -2.400 -1.855
H 1.194 0.595 -1.492
H 4.499 0.421 -1.381
H -0.750 1.981 -1.473
H 4.339 -0.282 2.813
H 2.695 -2.218 0.194
H 5.638 -0.272 -2.537
H -3.789 2.077 -1.759
H 6.689 -0.618 1.529
*
```

---

Record 3
C23H39Cl2N5O3PTb | the ωB97M-V functional and the def2-TZVPD basis

Summary:
Lowest unoccupied orbital energy (spin up / spin down): -0.01 / 0.13 eV
Expectation value of S²: 12.605

```
! RIJCOSX wB97M-V def2-TZVPD def2/J DEFGRID3
* xyz 0 7
Tb 0.028 0.256 -0.804
Cl 1.949 1.118 -2.243
Cl 0.856 -2.054 -0.011
P 2.931 0.628 0.719
O -0.640 0.239 1.523
O -0.625 2.383 -0.497
=====
H 13.152 -9.868 -5.308
H 7.982 -15.540 -4.386
H 13.685 -12.064 -9.010
H 10.850 -9.999 -4.562
H 9.048 -10.035 -4.160
H 13.840 -13.383 -7.789
H 14.258 -12.902 -2.360
H 12.022 -16.807 -7.387
H 9.749 -8.858 -5.394
H 8.596 -11.324 -1.112
H 7.173 -11.518 -6.267
H 7.086 -11.928 -1.823
H 10.269 -15.702 -3.941
H 12.274 -11.790 -2.868
H 7.454 -9.786 -6.394
H 15.995 -15.399 -5.404
H 7.723 -13.791 -6.720
H 6.898 -15.936 -6.446
H 8.564 -17.169 -4.791
H 11.883 -16.496 -5.139
H 13.868 -15.425 -6.579
H 10.654 -17.706 -5.516
H 10.485 -13.364 -8.867
H 16.220 -14.307 -3.162
H 14.341 -11.032 -6.120
H 12.435 -13.311 -8.989
H 11.946 -14.525 -7.625
*
```

---

Record 2
C23H38O | the ωB97M-V functional and the def2-TZVPD basis

Summary:
Lowest unoccupied orbital energy: 0.74 eV
SMILES: CC(=O)CC/C=C(/C)CC/C=C(/C)CC/C=C(\C)CCC=C(C)C
Energy relative to the best compared isomer or geometry (same formula, charge and spin): 4.7 kcal/mol

```
! RIJCOSX wB97M-V def2-TZVPD def2/J DEFGRID3
* xyz 0 1
O -6.516 -1.862 1.216
C -2.853 2.456 -1.347
C -5.169 -2.458 -0.660
C -4.641 0.613 0.412
C -5.481 -1.717 0.615
C 7.224 -1.474 -0.932
C -4.405 -0.758 1.070
C -1.920 3.374 0.813
C 3.277 -1.769 0.992
C 2.209 0.415 0.366
C 3.086 -0.287 1.077
C -3.628 1.605 0.888
C -1.200 -0.643 -1.031
C 4.006 0.416 2.043
C 1.228 -0.092 -0.643
C -1.398 -2.129 -1.100
C 6.285 -0.387 -0.500
C -1.676 1.666 -1.951
C -0.179 -0.191 -0.023
C 5.553 0.303 -1.619
C -2.860 2.403 0.156
C 5.240 1.001 1.328
C -1.849 0.182 -1.845
C 6.133 -0.067 0.780
H 2.152 1.484 0.540
H -0.458 0.778 0.391
H -0.140 -0.904 0.802
H -0.454 -2.615 -1.348
H 5.807 1.592 2.053
H 7.751 -1.904 -0.083
H -1.832 3.180 1.878
H -1.606 1.922 -3.012
H -0.929 3.321 0.364
H -3.417 -1.120 0.788
H 4.330 -1.995 0.830
H 3.473 1.235 2.531
H 2.978 -2.230 1.934
H -4.462 -0.646 2.154
H -6.071 -2.904 -1.073
H -1.720 -2.524 -0.136
H 6.674 -2.267 -1.439
H 1.522 -1.070 -1.025
H -4.459 -3.251 -0.432
H 5.976 1.291 -1.798
H -2.756 3.501 -1.655
H -4.709 -1.792 -1.385
H 7.958 -1.079 -1.634
H -5.642 0.961 0.689
H -2.574 -0.232 -2.537
H -3.549 1.662 1.967
H 4.905 1.669 0.535
H -4.605 0.504 -0.671
H -2.286 4.392 0.678
H -2.131 -2.400 -1.855
H 1.194 0.595 -1.492
H 4.499 0.421 -1.381
H -0.750 1.981 -1.473
H 4.339 -0.282 2.813
H 2.695 -2.218 0.194
H 5.638 -0.272 -2.537
H -3.789 2.077 -1.759
H 6.689 -0.618 1.529
*
```

---

Record 3
C23H39Cl2N5O3PTb | the ωB97M-V functional and the def2-TZVPD basis

Summary:
Lowest unoccupied orbital energy (spin up / spin down): -0.01 / 0.13 eV
Expectation value of S²: 12.605

```
! RIJCOSX wB97M-V def2-TZVPD def2/J DEFGRID3
* xyz 0 7
Tb 0.028 0.256 -0.804
Cl 1.949 1.118 -2.243
Cl 0.856 -2.054 -0.011
P 2.931 0.628 0.719
O -0.640 0.239 1.523
O -0.625 2.383 -0.497